Thank goodness for friends

I heard a sharp rap through the phone. “What was that?” I asked my friend. He’d just inquired about my love life and I told him of the current potential suitor who was very attentive, but lives thousands of miles away — and who I’d not yet met.

“That” he said, “was me slapping you.”

I laughed.

Yes, he was right. The chances of this turning into a lasting relationship was slight. It could happen, but most likely it wouldn’t. I knew that. I was kidding myself that it might be different.

How often do we know something isn’t going to work out, yet we continue to put time and energy into it, hoping it will turn out as we’d like? For most of us, this is too often. Especially if we are a hopeful, optimistic person. We tend to ignore the clear signs that we should just say adieu and focus on other, more suitable suitors.

And thank goodness for friends who are willing to tell us what we need to hear. Because even when we know what they’re telling us, we try to pretend we don’t.

I’ve now deputized my friends to tell me what is clear but I’m ignoring when it comes to love. I’ve not only invited them to tell me the stark truth as they see it, but I’ve told them they are required to do it. Even when I don’t want to hear it.

So far, they’ve been right.

What will it take for us to acknowledge what we know and act accordingly? To release someone who may be enamored with us, but we aren’t feeling similarly? To listen to our own inner wisdom rather than relying on our pals to point out the obvious?

┌──
No. 1
Diffraction record for ReBr4. The PXRD pattern is calculated, not measured: it uses DFT lattice parameters and positions (GGA-PBE) and Cu Kα (λ = 1.5418 Å).
Lines closer than 0.1° are merged.

Main lines, in order of rising 2θ (2θ = 15–90°):
- d = 4.840 Å, 2θ 18.33, rel. 783
- d = 4.616 Å, 2θ 19.23, rel. 868
- d = 3.008 Å, 2θ 29.70, rel. 1000
- d = 2.974 Å, 2θ 30.05, rel. 890
- d = 2.808 Å, 2θ 31.87, rel. 815
- d = 2.269 Å, 2θ 39.72, rel. 652
- d = 2.245 Å, 2θ 40.17, rel. 582
- d = 2.124 Å, 2θ 42.56, rel. 585
- d = 1.988 Å, 2θ 45.63, rel. 811
- d = 1.885 Å, 2θ 48.27, rel. 389

Cell and atoms:
a = 6.728 Å, b = 7.020 Å, c = 13.154 Å
α = 90.00°, β = 93.40°, γ = 90.00°
Positions (direct):
Re 0.179 0.232 0.310
Re 0.179 0.768 0.810
Re 0.821 0.232 0.190
Re 0.821 0.768 0.690
Br 0.000 0.460 0.750
Br 0.000 0.540 0.250
Br 0.138 0.097 0.129
Br 0.138 0.903 0.629
Br 0.252 0.380 0.476
Br 0.252 0.620 0.976
Br 0.358 0.058 0.864
Br 0.358 0.942 0.364
Br 0.500 0.400 0.250
Br 0.500 0.600 0.750
Br 0.642 0.058 0.636
Br 0.642 0.942 0.136
Br 0.748 0.380 0.024
Br 0.748 0.620 0.524
Br 0.862 0.097 0.371
Br 0.862 0.903 0.871

No. 2
Diffraction record for HoLu. The PXRD pattern is calculated, not measured: it uses DFT lattice parameters and positions (GGA-PBE) and Cu Kα (λ = 1.5418 Å).
Lines closer than 0.1° are merged.

Main lines, in order of rising 2θ (2θ = 15–90°):
- d = 3.073 Å, 2θ 29.06, rel. 239
- d = 2.752 Å, 2θ 32.54, rel. 238
- d = 2.683 Å, 2θ 33.40, rel. 1000
- d = 2.050 Å, 2θ 44.18, rel. 155
- d = 1.774 Å, 2θ 51.51, rel. 198
- d = 1.575 Å, 2θ 58.60, rel. 202
- d = 1.491 Å, 2θ 62.26, rel. 224
- d = 1.480 Å, 2θ 62.79, rel. 164
- d = 1.178 Å, 2θ 81.76, rel. 79
- d = 1.136 Å, 2θ 85.43, rel. 143

Cell and atoms:
a = 5.504 Å, b = 12.291 Å, c = 7.098 Å
α = 90.00°, β = 90.00°, γ = 90.00°
Positions (direct):
Ho 0.250 0.083 0.000
Ho 0.250 0.333 0.750
Ho 0.250 0.583 0.500
Ho 0.250 0.833 0.250
Ho 0.750 0.167 0.250
Ho 0.750 0.417 0.500
Ho 0.750 0.667 0.750
Ho 0.750 0.917 0.000
Lu 0.250 0.083 0.501
Lu 0.250 0.334 0.251
Lu 0.250 0.583 0.001
Lu 0.250 0.834 0.751
Lu 0.750 0.166 0.751
Lu 0.750 0.417 0.001
Lu 0.750 0.666 0.251
Lu 0.750 0.917 0.501

No. 3
Diffraction record for Zn2Co. The PXRD pattern is calculated, not measured: it uses DFT lattice parameters and positions (GGA-PBE) and Cu Kα (λ = 1.5418 Å).
Lines closer than 0.1° are merged.

Main lines, in order of rising 2θ (2θ = 15–90°):
- d = 2.269 Å, 2θ 39.72, rel. 248
- d = 2.118 Å, 2θ 42.68, rel. 273
- d = 2.000 Å, 2θ 45.34, rel. 1000
- d = 1.548 Å, 2θ 59.72, rel. 140
- d = 1.311 Å, 2θ 72.01, rel. 48
- d = 1.309 Å, 2θ 72.14, rel. 97
- d = 1.199 Å, 2θ 80.03, rel. 167
- d = 1.115 Å, 2θ 87.48, rel. 56
- d = 1.114 Å, 2θ 87.60, rel. 114
- d = 1.096 Å, 2θ 89.35, rel. 78

Cell and atoms:
a = 6.931 Å, b = 4.237 Å, c = 10.477 Å
α = 90.00°, β = 100.77°, γ = 90.00°
Positions (direct):
Zn 0.051 0.250 0.317
Zn 0.056 0.250 0.076
Zn 0.062 0.250 0.568
Zn 0.077 0.250 0.820
Zn 0.287 0.750 0.102
Zn 0.288 0.750 0.346
Zn 0.390 0.250 0.486
└──

How have you snapped yourself out of your delusion when in or toying with getting into a relationship you know isn’t going to work?


Dating Over 40: Moving On GracefullyWant to understand how to know when it’s time to release someone and to do so kindly? Get your copy of Moving On Gracefully: Break Up Without Heartache.


4 responses to “Thank goodness for friends”

  1. Brenda Avatar

    When I was dating, I had a tendency to meet men who were just not geographically desirable. I finally woke up one day to realize that there was no way they could move, nor could I because of my job and my children (and shared custody), and from then on, I only dated men who lived one hour from my house. I just had too many long distance disappointments to continue to date those who lived too far – and as soon as I made that decision, I met my future husband.

  2. Lisa Avatar

    I agree that when someone is treating you poorly, it is helpful to have a friend point out what you cannot at the moment see. I have been telling a friend for a few years that his girlfriend is way too insecure and controlling. She just broke up with him, for about the third time, so I hope he comes to his senses this time.

    However, I would not necessarily let distance be a “slap in the face” deal breaker if the man seems decent and sincere. Of couse, you need to talk very early on about why you are choosing to talk to someone so far away and how a long distance relationship would work out in the long run–who might be willing to move, etc.

    You have to be quite realistic and not fantasize someone’s potential, etc. but you know…some people are easier to match up then others. If you meet someone who seems right for you and he lives 2,000 miles away, and, most importantly, if you both have the time and means and desire to meet up on a regular basis, why not give it a try?

    Say, for example, you have an M.F.A. in ceramics, you just might have to move from Lanham, Nebraska to get the job you want. It might be the same with love. As I said, some people are just a tougher fit than others. The kind of person who is right for you might not be standing around on every street corner.

    Just be practical, practical, and practical. Having the time and means to meet up is crucial. Be practical, know his circumstances (if he is recently divorced/broken up–forget it!), don’t fantasize, and make him prove himself. Make sure he lives in the US! That would be my advice. A firm tap, not a slap. That is just my opinion, because if I see a guy who seems like my type and he says he would like someday to bicycle across Mongolia with me, I too might forget that he lives 3,000 miles away!

  3. Grace Pamer Avatar
    Grace Pamer

    My brother was a classic example of always wanting to believe the best even when the worst was staring him in the face. He ended up staying with a girlfriend for 5 years more out of friendship than love. It was clear within year 1 it wasn’t working romantically and yet they pressed on and it became a habit to ignore the elephant in the room that it was never going to work. I know he regrets the wasted time now (well they both do as they remained friends after).

    You just have to trust in friends when they point out the obvious.

    Excellent post

  4. Jeff Avatar

    Lets face it your friends and family will often tell you what you want to hear so that you don’t get hurt by what they really think. On the other hand other friends and family will tell you how horrible a decision you are making.

    Personally, as a man, I am very annoyed by both, people should mind their own business and stay out of the bedrooms of others.

    Ultimately I think every man and woman should get really clear and specific on what they want in a man/woman and relationship. This way they can weed out the flakes and misfits in there life. They will also discover the one they really want much faster.